Aleutians West Census Area


The Aleutians West Census Area has no borough seat. The census area has a total area of 36,562 km² (14,117 mi²). 11,388 km² (4,397 mi²) of it is land and 25,174 km² (9,720 mi²) of it is water. The total area is 68.85% water.

The people refer to themselves as Ungangan, and have been called “Aleut.” The Aleut language is related most closely to Eskimo languages.

The Aleutian Islands (possibly from Chukchi aliat, meaning “island”) are a chain of small islands situated in the Northern Pacific Ocean, and extending about 1,200 miles westward from the extremity of the Alaskan peninsula toward the peninsula of Kamchatka. The eastern half of the archipelago is part of the state of Alaska, and usually considered as being in the Alaskan Bush; the western half is part of Russia. The islands are located in the northern part of the Pacific Ring of Fire.

The Alaskan side of the archipelago is divided into the Aleutians West Census Area and the Aleutians East Borough.

The islands, formerly known as the Catherine Archipelago, comprise four groups — the Fox, Andreanof, Rat and Near Islands.

_Next to the article, the page also holds records of crystals_
┌──
No. 1
Entry from the Materials Project: a relaxed structure of CeOF (PBE).

E_tot = -47.23 eV per cell

```
data_CeOF
_chemical_formula_sum 'Ce2 O2 F2'
_cell_length_a 3.980
_cell_length_b 3.980
_cell_length_c 5.896
_cell_angle_alpha 90.00
_cell_angle_beta 90.00
_cell_angle_gamma 90.00
_space_group_name_H-M_alt 'P 4/n m m'
_space_group_IT_number 129
loop_
_space_group_symop_operation_xyz
'x,y,z'
'-x,-y,-z'
'-y+1/2,x,z'
'y+1/2,-x,-z'
'-x+1/2,-y+1/2,z'
'x+1/2,y+1/2,-z'
'y,-x+1/2,z'
'-y,x+1/2,-z'
'x+1/2,-y,-z'
'-x+1/2,y,z'
'-y,-x,-z'
'y,x,z'
'-x,y+1/2,-z'
'x,-y+1/2,z'
'y+1/2,x+1/2,-z'
'-y+1/2,-x+1/2,z'
loop_
_atom_site_label
_atom_site_type_symbol
_atom_site_fract_x
_atom_site_fract_y
_atom_site_fract_z
Ce1 Ce 0.250 0.250 0.205
O1 O 0.250 0.750 0.000
F1 F 0.250 0.250 0.609
```



No. 2
Entry from the Materials Project: a relaxed structure of Mg30CdSnO32 (PBE).

Polymorph energy (0 for the lowest one) = 4 meV/atom

```
data_Mg30CdSnO32
_chemical_formula_sum 'Mg30 Cd1 Sn1 O32'
_cell_length_a 8.638
_cell_length_b 8.638
_cell_length_c 8.652
_cell_angle_alpha 90.00
_cell_angle_beta 90.00
_cell_angle_gamma 90.00
_space_group_name_H-M_alt 'P 4/m m m'
_space_group_IT_number 123
_space_group_name_Hall '-P 4 2'
loop_
_atom_site_label
_atom_site_type_symbol
_atom_site_fract_x
_atom_site_fract_y
_atom_site_fract_z
Mg1 Mg 0.000 0.000 0.000
Mg2 Mg 0.000 0.000 0.500
Mg3 Mg 0.000 0.250 0.250
Mg4 Mg 0.000 0.500 0.000
Mg5 Mg 0.000 0.500 0.500
Mg6 Mg 0.243 0.500 0.248
Mg7 Mg 0.246 0.246 0.500
Mg8 Mg 0.248 0.248 0.000
Cd1 Cd 0.500 0.500 0.000
Sn1 Sn 0.500 0.500 0.500
O1 O 0.000 0.000 0.250
O2 O 0.000 0.247 0.500
O3 O 0.000 0.248 0.000
O4 O 0.000 0.500 0.249
O5 O 0.230 0.500 0.500
O6 O 0.233 0.500 0.000
O7 O 0.251 0.251 0.250
O8 O 0.500 0.500 0.245
```



No. 3
Entry from the Materials Project: a relaxed structure of Na21Nb2Zn10P15S3O72 (PBE).

E_tot = -762.39 eV per cell

```
data_Na21Nb2Zn10P15S3O72
_chemical_formula_sum 'Na21 Nb2 Zn10 P15 S3 O72'
_cell_length_a 9.046
_cell_length_b 9.050
_cell_length_c 21.972
_cell_angle_alpha 89.41
_cell_angle_beta 89.78
_cell_angle_gamma 60.13
_space_group_name_H-M_alt 'P 1'
_space_group_IT_number 1
loop_
_space_group_symop_operation_xyz
'x,y,z'
loop_
_atom_site_label
_atom_site_type_symbol
_atom_site_fract_x
_atom_site_fract_y
_atom_site_fract_z
Na1 Na 0.000 0.000 0.000
Na2 Na 0.000 0.252 0.502
Na3 Na 0.001 0.627 0.742
Na4 Na 0.023 0.935 0.667
Na5 Na 0.041 0.292 0.173
Na6 Na 0.296 0.288 0.665
Na7 Na 0.297 0.655 0.175
Na8 Na 0.329 0.967 0.583
Na9 Na 0.331 0.967 0.085
Na10 Na 0.342 0.314 0.332
Na11 Na 0.370 0.250 0.003
Na12 Na 0.370 0.629 0.499
Na13 Na 0.620 0.002 0.502
Na14 Na 0.622 0.630 0.999
Na15 Na 0.651 0.305 0.914
Na16 Na 0.654 0.935 0.172
Na17 Na 0.670 0.662 0.669
Na18 Na 0.675 0.294 0.414
Na19 Na 0.683 0.975 0.827
Na20 Na 0.962 0.313 0.826
Na21 Na 0.992 0.631 0.251
Nb1 Nb 0.000 0.627 0.899
Nb2 Nb 0.993 0.631 0.399
Zn1 Zn 0.006 0.618 0.096
Zn2 Zn 0.327 0.959 0.428
Zn3 Zn 0.329 0.969 0.741
Zn4 Zn 0.330 0.967 0.252
└──

Aleutian Island Geography

The axis of the archipelago near the mainland of Alaska has a southwest trend, but near the 129th meridian its direction changes to the northwest. This change of direction corresponds to a curve in the line of volcanic fissures which have contributed their products to the building of the islands. Such curved chains are repeated about the Pacific Ocean in the Kurile Islands, the Japanese chain and the Philippines.

All these island arcs are at the edge of the Pacific Plate and experience lots of seismic activity, but are still habitable; the Aleutians lie between the Pacific and North American tectonic plates.

The general elevation is greatest in the eastern islands and least in the western. The island chain is really a western continuation of the Aleutian Range on the mainland.

The great majority of the islands bear evident marks of volcanic origin, and there are numerous volcanic cones on the north side of the chain, some of them active; many of the islands, however, are not wholly volcanic, but contain crystalline or sedimentary rocks, and also amber and beds of lignite.

The coasts are rocky and surf-worn, and the approaches are exceedingly dangerous, the land rising immediately from the coasts to steep, bold mountains.

The volcano Makushin (5691 ft./1,734.61 m) is visible from Unalaska, and the volcanic islets Bogoslof and Grewingk, which rose from the sea in 1796 and 1883 respectively, lie about 30 miles (48 km) west of the bay.

The Aleutian Islands Climate

The climate of the islands is oceanic, with moderate and fairly uniform temperatures and heavy rainfall. Fogs are almost constant.

The summers are much cooler than on the mainland at Sitka, but the winter temperature of the islands and of the Alaska Panhandle is very nearly the same. The mean annual temperature for Unalaska, the most important island of the group, is about 38 degrees Fahrenheit (3.4 degrees Celsius), being about 30 degrees (1.1  C) for January and about 52 degrees (11.1 C) for August. The highest and lowest temperatures recorded on the islands are 78 degrees (25.6  C) and 5 degrees (-15  C), respectively.

The average annual amount of rainfall is about 80 in. (203.2 cm), and Unalaska, with about 250 rainy days per year, is said to be the rainiest place within the territory of the United States.

Aleutian Islands Economy

The growing season lasts about 135 days, from early in May till late in September, but agriculture is limited to the raising of a few vegetables. With the exception of some stunted willows, the islands are practically destitute of trees, but are covered with a luxuriant growth of herbage, including grasses, sedges and many flowering plants.

On the less mountainous islands, the raising of sheep and reindeer was believed to be practicable.

People living in the Aleutian Islands developed fine skills in hunting and basketry. Hunters made their weapons and watercraft. The baskets are noted for being finely woven with carefully shredded stalks of beach rye.

Aleutian Islands History

Because of the location of the islands, stretching like a broken bridge from Asia to America, most anthropologists believe they were the route of the first human occupants of the Americas, probably via a now-submerged Bering Land Bridge during the most recent Ice Age. The earliest known evidence of human occupation in the Americas is much further south, in New Mexico and Peru; the early human sites in Alaska have probably been submerged by rising waters during the current interglacial period.

Explorers, traders, colonists, and missionaries arrived from Russia beginning in 1741.

In 1741 the Russian government sent out Vitus Bering, a Dane, and Alexei Chirikov, a Russian, in the ships Saint Peter (Swiatoj Pietr) and Saint Paul on a voyage of discovery in the Northern Pacific.

After the ships were separated by a storm, Chirikov discovered several eastern islands of the Aleutian group, and Bering discovered several of the western islands, finally being wrecked and losing his life on the island of the Komandorski Islands that now bears his name (Bering Island).

The survivors of Bering’s party reached Kamchatka in a boat constructed from the wreckage of their ship, and reported that the islands were rich in fur-bearing animals.

Siberian fur hunters flocked to the Commander Islands and gradually moved eastward across the Aleutian Islands to the mainland. In this manner Russia gained a foothold on the north-western coast of North America. The Aleutian Islands consequently belonged to Russia, until that country transferred all its possessions in America to the United States in 1867.

The Russians were ruthless in their expansion, using technology and cruelty to demand tribute and labor from the Aleuts, especially for sea otter hunting. The Russians captured otter pelts from the Aleutian Islands, through the Gulf of Alaska, along the Alaska Panhandle, and south, even to California. Some Aleuts were moved to the Pribilof Islands so that fur seals could be captured.

By 1760, the Russian merchant Adriian Tolstykh had made a detailed census in the vicinity of Adak and extended Russian citizenship to the Aleuts.

Despite some attempts to eliminate slavery and reduce cruel treatment in the 1790s, the Shelikov company depended on the labor of Aleut hunters to collect sea otter pelts.

During his third and last voyage, in 1778, Captain James Cook surveyed the eastern portion of the Aleutian archipelago, accurately determined the position of some of the more important islands and corrected many errors of former navigators.

One of the first Christian missionaries to arrive in the Aleutian Islands was a monk named Herman, who arrived in 1793 with nine other Russian Orthodox monks and priests.

Within two years, he was the only survivor of that party. He settled on Spruce Island, near Kodiak Island, and often defended the rights of the Aleuts against the Russian trading companies. He is now known in the Orthodox Church as St. Herman of Alaska.

Another early Christian missionary of the Russian Orthodox Church was Father Veniaminov who arrived in Unalaska in 1824. He was named Bishop Innokentii in 1840 and moved to Sitka. He is now known in the Orthodox Church as St. Innocent of Alaska.

The first public school in Unalaska opened in 1883.

The population of Unalaska Island in 1900 was 575 Aleuts and 66 whites. Also in 1900, measles and pneumonia caused many deaths.

In 1906 a new volcanic cone rose between the islets of Bogoslof and Grewingk, near Unalaska, followed by another in 1907. These cones were nearly demolished by an explosive eruption on the 1st of September 1907.

As of 1911, the principal settlements were on Unalaska Island. The oldest was Iliuliuk (also called Unalaska), settled in 1760-1775, with a customs house, a Russian-Greek church, and a Methodist mission and orphanage, and the headquarters for a considerable fleet of United States revenue cutters which patrol the sealing grounds of the Pribilof Islands.

Adjacent is Dutch Harbor (so named, it is said, because a Dutch vessel was the first to enter it), which is an important port for Bering Sea commerce.

The United States Congress extended American citizenship to all Indians (and this law was held to include the indigenous peoples of Alaska) in 1924.

A hospital was built in Unalaska in 1933 by the US Bureau of Indian Affairs.

During World War II, the Aleutian islands were the only area of the United States to be occupied by Japanese forces when Attu and Kiska were invaded in order to divert American forces away from the main Japanese attack at Midway Atoll.

The United States, having broken the Japanese military codes, knew that this was a diversion and did not expend large amounts of effort defending the islands. Some Americans were taken to Japan as prisoners of war.

Most of the civilian population of the Aleutians were interned by the United States in camps in the Alaska Panhandle. American forces fought the Japanese on Attu and regained control of the islands.

Monday, June 3, 2002 was celebrated as Dutch Harbor Remembrance Day. The governor ordered state flags lowered to half-staff to honor the 78 soldiers who died during the two-day attack in 1942. The Aleutians World War II Campaign National Historic Area Visitors Center will open in June 2002.

The Alaska Native Claims Settlement Act (ANSCA) became law in 1971. In 1977, the Ounalashka Corporation (from Unalaska) declared a dividend. This was the first village corporation to declare and pay a dividend to its shareholders.


The People

As of the census of 2000, there are 5,465 people, 1,270 households, and 736 families residing in the census area. The population density is 0/km² (1/mi²). There are 2,234 housing units at an average density of 0/km² (0/mi²). The racial makeup of the census area is 40.04% White, 3.02% Black or African American, 20.95% Native American, 24.59% Asian, 0.62% Pacific Islander, 7.32% from other races, and 3.46% from two or more races. 10.48% of the population are Hispanic or Latino of any race.

For every 100 females age 18 and over, there are 202.10 males.

Cities and towns in the Aleutians West Census Area:

Attu Station
St. George
St. Paul